## Activity
Say how many lines of the entries further below hold the word "Computed", as a bare number.
## Data
<<<
Entry 1:
Entry from Materials Project: a geometry-optimized HoLuAg2 structure (r2SCAN).

```
HoLuAg2
1.0
0.0000 3.5620 3.5620
3.5620 0.0000 3.5620
3.5620 3.5620 0.0000
Lu Ho Ag
1 1 2
Direct
0.5000 0.5000 0.5000 Lu
0.0000 0.0000 0.0000 Ho
0.2500 0.2500 0.2500 Ag
0.7500 0.7500 0.7500 Ag
```

Computed properties:
The space group is Fm-3m, No. 225. For the total magnetic moment, the calculation gives 0.000 μB per formula unit.

Entry 2:
Entry from Materials Project: a geometry-optimized ReRu3 structure (r2SCAN).

```
ReRu3
1.0
0.4905 5.3918 0.6224
-4.6630 -2.4842 1.3359
1.4636 -0.5951 4.0020
Ru Re
6 2
Direct
0.3351 0.1676 0.7500 Ru
0.1676 0.3351 0.2500 Ru
0.8324 0.6649 0.7500 Ru
0.8324 0.1676 0.7500 Ru
0.6649 0.8324 0.2500 Ru
0.1676 0.8324 0.2500 Ru
0.6667 0.3333 0.2500 Re
0.3333 0.6667 0.7500 Re
```

Computed properties:
The space group is P6_3/mmc, No. 194. For the total magnetic moment, the calculation gives 0.000 μB per formula unit.

Entry 3:
Entry from Materials Project: a geometry-optimized Na8Ni9O18 structure (r2SCAN).

```
Na8Ni9O18
1.0
-5.7525 -4.8814 0.0715
-4.4976 0.9537 5.3112
-5.8363 1.7942 -5.1591
O Ni Na
18 9 8
Direct
0.3749 0.2356 0.9310 O
0.1041 0.6117 0.9284 O
0.6992 0.9051 0.6043 O
0.0354 0.5683 0.2679 O
0.8626 0.1961 0.4984 O
0.3008 0.0949 0.3957 O
0.8959 0.3883 0.0716 O
0.1374 0.8039 0.5016 O
0.2483 0.0478 0.7225 O
0.5575 0.7185 0.4132 O
0.7517 0.9522 0.2775 O
0.8092 0.1427 0.8258 O
0.4425 0.2815 0.5868 O
0.5262 0.5309 0.8346 O
0.9646 0.4317 0.7321 O
0.4738 0.4691 0.1654 O
0.6251 0.7644 0.0690 O
0.1908 0.8573 0.1742 O
0.5000 0.0000 0.5000 Ni
0.7188 0.4499 0.9480 Ni
0.9466 0.8817 0.3878 Ni
0.3824 0.7809 0.2851 Ni
0.2812 0.5501 0.0520 Ni
0.0534 0.1183 0.6122 Ni
0.6176 0.2191 0.7149 Ni
0.1686 0.3327 0.8329 Ni
0.8314 0.6673 0.1671 Ni
0.4251 0.8897 0.8972 Na
0.6802 0.3168 0.3206 Na
0.7796 0.5516 0.5540 Na
0.3198 0.6832 0.6794 Na
0.2204 0.4484 0.4460 Na
0.5749 0.1103 0.1028 Na
0.8853 0.7897 0.7907 Na
0.1147 0.2103 0.2093 Na
```

Computed properties:
The space group is P-1, No. 2. For the total magnetic moment, the calculation gives 7.988 μB per formula unit.

Entry 4:
Entry from Materials Project: a geometry-optimized Sm3Sc structure (r2SCAN).

```
Sm3Sc
1.0
7.2625 0.0000 0.0000
-3.6312 6.2895 0.0000
0.0000 0.0000 5.6207
Sm Sc
6 2
Direct
0.1705 0.8295 0.2500 Sm
0.8295 0.1705 0.7500 Sm
0.8295 0.6590 0.7500 Sm
0.6590 0.8295 0.2500 Sm
0.1705 0.3410 0.2500 Sm
0.3410 0.1705 0.7500 Sm
0.6667 0.3333 0.2500 Sc
0.3333 0.6667 0.7500 Sc
```

Computed properties:
The excess energy over the best structure of this formula in the dataset is 0.000 eV per atom. The space group is P6_3/mmc, No. 194. For the total magnetic moment, the calculation gives 0.795 μB per formula unit.

Entry 5:
Entry from Materials Project: a geometry-optimized ZrUN2 structure (r2SCAN).

```
ZrUN2
1.0
1.5015 1.6462 5.5558
-1.5981 2.6732 5.1119
-0.9997 -0.4743 5.8828
N Zr U
2 1 1
Direct
0.7580 0.7580 0.7580 N
0.2420 0.2420 0.2420 N
0.5000 0.5000 0.5000 Zr
0.0000 0.0000 0.0000 U
```

Computed properties:
The space group is R-3m, No. 166. For the total magnetic moment, the calculation gives 2.095 μB per formula unit.

Entry 6:
Entry from Materials Project: a geometry-optimized GdGeRh structure (r2SCAN).

```
GdGeRh
1.0
-1.4734 -0.6754 4.0410
-5.6309 -3.3050 -2.6056
3.6963 -6.5028 0.2608
Rh Ge Gd
4 4 4
Direct
0.7500 0.3457 0.9301 Rh
0.7500 0.8457 0.5699 Rh
0.2500 0.6543 0.0699 Rh
0.2500 0.1543 0.4301 Rh
0.2500 0.7940 0.3972 Ge
0.7500 0.2060 0.6028 Ge
0.7500 0.7060 0.8972 Ge
0.2500 0.2940 0.1028 Ge
0.2500 0.4960 0.6937 Gd
0.7500 0.0040 0.1937 Gd
0.7500 0.5040 0.3063 Gd
0.2500 0.9960 0.8063 Gd
```

Computed properties:
The space group is Pnma, No. 62. For the total magnetic moment, the calculation gives 0.000 μB per formula unit.

Entry 7:
Entry from Materials Project: a geometry-optimized RuO2 structure (r2SCAN).

```
RuO2
1.0
-0.5244 1.9671 -4.3935
-3.5690 -3.1246 -0.9730
-3.2303 3.1328 1.7882
Ru O
4 8
Direct
0.0000 0.0000 0.0000 Ru
0.5000 0.5000 0.0000 Ru
>>>
## Solution
6